Excerpt:
+++
(1)
DFT (PBE-GGA) results for a relaxed TmLuPdAu crystal.

Unit cell a=6.9902 b=6.9902 c=6.9902 alpha=90.00 beta=90.00 gamma=90.00
Fractional coordinates of all 16 atoms:
1 Tm 0.0000 0.0000 0.0000
2 Tm 0.0000 0.5000 0.5000
3 Tm 0.5000 0.0000 0.5000
4 Tm 0.5000 0.5000 0.0000
5 Lu 0.0000 0.0000 0.5000
6 Lu 0.0000 0.5000 0.0000
7 Lu 0.5000 0.0000 0.0000
8 Lu 0.5000 0.5000 0.5000
9 Pd 0.2500 0.2500 0.2500
10 Pd 0.2500 0.7500 0.7500
11 Pd 0.7500 0.2500 0.7500
12 Pd 0.7500 0.7500 0.2500
13 Au 0.2500 0.2500 0.7500
14 Au 0.2500 0.7500 0.2500
15 Au 0.7500 0.2500 0.2500
16 Au 0.7500 0.7500 0.7500

## Properties
Spin magnetization (μB per formula unit): 0.00
Energy of formation from the pure elements (eV per atom): -0.911


(2)
DFT (PBE-GGA) results for a relaxed LuZrPdAu crystal.

Unit cell a=6.8785 b=6.8785 c=6.8785 alpha=90.00 beta=90.00 gamma=90.00
Fractional coordinates of all 16 atoms:
1 Lu 0.0000 0.0000 0.0000
2 Lu 0.0000 0.5000 0.5000
3 Lu 0.5000 0.0000 0.5000
4 Lu 0.5000 0.5000 0.0000
5 Zr 0.0000 0.0000 0.5000
6 Zr 0.0000 0.5000 0.0000
7 Zr 0.5000 0.0000 0.0000
8 Zr 0.5000 0.5000 0.5000
9 Pd 0.2500 0.2500 0.2500
10 Pd 0.2500 0.7500 0.7500
11 Pd 0.7500 0.2500 0.7500
12 Pd 0.7500 0.7500 0.2500
13 Au 0.2500 0.2500 0.7500
14 Au 0.2500 0.7500 0.2500
15 Au 0.7500 0.2500 0.2500
16 Au 0.7500 0.7500 0.7500

## Properties
Spin magnetization (μB per formula unit): 0.00
Energy of formation from the pure elements (eV per atom): -0.688


(3)
DFT (PBE-GGA) results for a relaxed Pm2LuAu crystal.

Unit cell a=3.7189 b=3.7189 c=8.3010 alpha=90.00 beta=90.00 gamma=90.00
Fractional coordinates of all 4 atoms:
1 Pm 0.0000 0.0000 0.2158
2 Pm 0.0000 0.0000 0.7842
3 Lu 0.5000 0.5000 0.5000
4 Au 0.5000 0.5000 0.0000

## Properties
Energy above the most stable polymorph in this dataset (eV/atom): 0.000
Spin magnetization (μB per formula unit): 0.00
Energy of formation from the pure elements (eV per atom): -0.342


(4)
DFT (PBE-GGA) results for a relaxed Pm2LuAu crystal.

Unit cell a=3.5287 b=3.5287 c=34.4176 alpha=90.00 beta=90.00 gamma=120.00
Fractional coordinates of all 12 atoms:
1 Pm 0.0000 0.0000 0.0837
2 Pm 0.0000 0.0000 0.9163
3 Pm 0.3333 0.6667 0.5830
4 Pm 0.3333 0.6667 0.7503
5 Pm 0.6667 0.3333 0.2497
6 Pm 0.6667 0.3333 0.4170
7 Lu 0.0000 0.0000 0.5000
8 Lu 0.3333 0.6667 0.1667
9 Lu 0.6667 0.3333 0.8333
10 Au 0.0000 0.0000 0.0000
11 Au 0.3333 0.6667 0.6667
12 Au 0.6667 0.3333 0.3333

## Properties
Energy above the most stable polymorph in this dataset (eV/atom): 0.486
Spin magnetization (μB per formula unit): 0.00
Energy of formation from the pure elements (eV per atom): 0.144


(5)
DFT (PBE-GGA) results for a relaxed PmLuAu crystal.

Unit cell a=7.0591 b=7.0591 c=7.0591 alpha=90.00 beta=90.00 gamma=90.00
Fractional coordinates of all 12 atoms:
1 Pm 0.0000 0.0000 0.0000
2 Pm 0.0000 0.5000 0.5000
3 Pm 0.5000 0.0000 0.5000
4 Pm 0.5000 0.5000 0.0000
5 Lu 0.0000 0.0000 0.5000
6 Lu 0.0000 0.5000 0.0000
7 Lu 0.5000 0.0000 0.0000
8 Lu 0.5000 0.5000 0.5000
9 Au 0.2500 0.2500 0.7500
10 Au 0.2500 0.7500 0.2500
11 Au 0.7500 0.2500 0.2500
12 Au 0.7500 0.7500 0.7500

## Properties
Energy above the most stable polymorph in this dataset (eV/atom): 0.102
Spin magnetization (μB per formula unit): 0.00
Energy of formation from the pure elements (eV per atom): -0.433


(6)
DFT (PBE-GGA) results for a relaxed PmLuAu2 crystal.

Unit cell a=7.2337 b=7.2337 c=7.2337 alpha=90.00 beta=90.00 gamma=90.00
Fractional coordinates of all 16 atoms:
1 Pm 0.0000 0.0000 0.0000
2 Pm 0.0000 0.5000 0.5000
3 Pm 0.5000 0.0000 0.5000
4 Pm 0.5000 0.5000 0.0000
5 Lu 0.0000 0.0000 0.5000
6 Lu 0.0000 0.5000 0.0000
7 Lu 0.5000 0.0000 0.0000
8 Lu 0.5000 0.5000 0.5000
+++

Request:
Now return the material above from the first line to the one with "0.9163" with every line break kept.

Reply:
(1)
DFT (PBE-GGA) results for a relaxed TmLuPdAu crystal.

Unit cell a=6.9902 b=6.9902 c=6.9902 alpha=90.00 beta=90.00 gamma=90.00
Fractional coordinates of all 16 atoms:
1 Tm 0.0000 0.0000 0.0000
2 Tm 0.0000 0.5000 0.5000
3 Tm 0.5000 0.0000 0.5000
4 Tm 0.5000 0.5000 0.0000
5 Lu 0.0000 0.0000 0.5000
6 Lu 0.0000 0.5000 0.0000
7 Lu 0.5000 0.0000 0.0000
8 Lu 0.5000 0.5000 0.5000
9 Pd 0.2500 0.2500 0.2500
10 Pd 0.2500 0.7500 0.7500
11 Pd 0.7500 0.2500 0.7500
12 Pd 0.7500 0.7500 0.2500
13 Au 0.2500 0.2500 0.7500
14 Au 0.2500 0.7500 0.2500
15 Au 0.7500 0.2500 0.2500
16 Au 0.7500 0.7500 0.7500

## Properties
Spin magnetization (μB per formula unit): 0.00
Energy of formation from the pure elements (eV per atom): -0.911


(2)
DFT (PBE-GGA) results for a relaxed LuZrPdAu crystal.

Unit cell a=6.8785 b=6.8785 c=6.8785 alpha=90.00 beta=90.00 gamma=90.00
Fractional coordinates of all 16 atoms:
1 Lu 0.0000 0.0000 0.0000
2 Lu 0.0000 0.5000 0.5000
3 Lu 0.5000 0.0000 0.5000
4 Lu 0.5000 0.5000 0.0000
5 Zr 0.0000 0.0000 0.5000
6 Zr 0.0000 0.5000 0.0000
7 Zr 0.5000 0.0000 0.0000
8 Zr 0.5000 0.5000 0.5000
9 Pd 0.2500 0.2500 0.2500
10 Pd 0.2500 0.7500 0.7500
11 Pd 0.7500 0.2500 0.7500
12 Pd 0.7500 0.7500 0.2500
13 Au 0.2500 0.2500 0.7500
14 Au 0.2500 0.7500 0.2500
15 Au 0.7500 0.2500 0.2500
16 Au 0.7500 0.7500 0.7500

## Properties
Spin magnetization (μB per formula unit): 0.00
Energy of formation from the pure elements (eV per atom): -0.688


(3)
DFT (PBE-GGA) results for a relaxed Pm2LuAu crystal.

Unit cell a=3.7189 b=3.7189 c=8.3010 alpha=90.00 beta=90.00 gamma=90.00
Fractional coordinates of all 4 atoms:
1 Pm 0.0000 0.0000 0.2158
2 Pm 0.0000 0.0000 0.7842
3 Lu 0.5000 0.5000 0.5000
4 Au 0.5000 0.5000 0.0000

## Properties
Energy above the most stable polymorph in this dataset (eV/atom): 0.000
Spin magnetization (μB per formula unit): 0.00
Energy of formation from the pure elements (eV per atom): -0.342


(4)
DFT (PBE-GGA) results for a relaxed Pm2LuAu crystal.

Unit cell a=3.5287 b=3.5287 c=34.4176 alpha=90.00 beta=90.00 gamma=120.00
Fractional coordinates of all 12 atoms:
1 Pm 0.0000 0.0000 0.0837
2 Pm 0.0000 0.0000 0.9163